Florida Repeater Council, Inc.
Minutes of Business Meeting
September 13, 2003
Melbourne, Florida

• What comes next are calculated crystals, not part of the piece:
# LiSm2AlO5 (GGA-PBE, optimized geometry)
data_LiSm2AlO5
_chemical_formula_sum 'Li2 Sm4 Al2 O10'
_space_group_name_H-M_alt 'P 4/m b m'
_space_group_IT_number 127
_space_group_name_Hall '-P 4 2ab'
_cell_length_a 6.575
_cell_length_b 6.575
_cell_length_c 5.634
_cell_angle_alpha 90.00
_cell_angle_beta 90.00
_cell_angle_gamma 90.00
loop_
_atom_site_label
_atom_site_fract_x
_atom_site_fract_y
_atom_site_fract_z
Li1 0.000 0.000 0.000
Sm1 0.178 0.322 0.500
Al1 0.000 0.500 0.000
O1 0.000 0.000 0.500
O2 0.134 0.634 0.232
# DOS at the Fermi energy (states/eV/cell): 0.00
# Final energy (eV/f.u.): -64.85
# V (Å³/cell): 243.6

----------

# 1
Below is a geometry-optimized TeRuI3 structure, with properties calculated at the PBE level.

Its electronic total energy is -0.17264 Ry/atom. The calculation puts the total magnetic moment at 3.14 μB/f.u. For the formation energy from raw total energies, the calculation gives 24.55 kcal/mol of atoms.

The space group is Pm-3m (No. 221) and the conventional cell measures 6.049, 6.049 and 6.049 Å, with angles of 90.00, 90.00 and 90.00 degrees. The distinct sites, in fractional coordinates, are Te at (0.000, 0.000, 0.000), Ru at (0.500, 0.500, 0.500) and I at (0.000, 0.000, 0.500).

# 2
Below is a geometry-optimized ScCuW2 structure, with properties calculated at the PBE level.

Its electronic total energy is -0.63142 Ry/atom. The calculation puts the total magnetic moment at 0.00 μB/f.u. As for the energy relative to the elements: 493 meV/atom.

The space group is R-3m (No. 166, hexagonal axes) and the conventional cell measures 2.8566, 2.8566 and 28.1192 Å, with angles of 90.00, 90.00 and 120.00 degrees. The distinct sites, in fractional coordinates, are Sc at (0.0000, 0.0000, 0.0000), Cu at (0.0000, 0.0000, 0.5000) and W at (0.0000, 0.0000, 0.2444).

# 3
Below is a geometry-optimized TlReCl2 structure, with properties calculated at the PBE level.

Its electronic total energy is -0.33001 Ry/atom. The calculation puts the total magnetic moment at 0.00 μB/f.u. For the formation energy from raw total energies, the calculation gives 3.16 kcal/mol of atoms.

The space group is R-3m (No. 166, hexagonal axes) and the conventional cell measures 3.1069, 3.1069 and 30.3670 Å, with angles of 90.00, 90.00 and 120.00 degrees. The distinct sites, in fractional coordinates, are Tl at (0.0000, 0.0000, 0.0000), Re at (0.0000, 0.0000, 0.5000) and Cl at (0.0000, 0.0000, 0.4258).

# 4
Below is a geometry-optimized TaFe2Re2 structure, with properties calculated at the PBE level.

Its electronic total energy is -0.77916 Ry/atom. The calculation puts the total magnetic moment at 0.00 μB/f.u. As for the energy relative to the elements: 134 meV/atom.

The space group is P4/mbm (No. 127) and the conventional cell measures 7.273, 7.273 and 2.665 Å, with angles of 90.00, 90.00 and 90.00 degrees. The distinct sites, in fractional coordinates, are Ta at (0.000, 0.000, 0.000), Fe at (0.171, 0.329, 0.500) and Re at (0.126, 0.626, 0.000).

# 5
• Here the piece continues:


The open forum was started at 3:00 PM on September 13, 2003 by President Ray
Kassis, N4LEM.  The following staff was in attendance:

Directors in attendance were:
   District 1:
   District 2: Mark Filla, KS4VT
   District 3: Karen Power, KD4DJX
   District 4: Mike Fletcher, NI4M
   District 5: Ralph Betts, KC4SGG
   District 6: Dave Armbrust, AE4MR
   District 7: Ted Wirick, W4YJC
   District 8:

Staff Members in attendance were:

   President: Ray Kassis, N4LEM
   Vice President: Ira Bickham, K8HRR
   Secretary/Treasurer: Dana G. Rodakis, K4LK
   Database Manager: Dana G. Rodakis, K4LK

President Kassis introduced himself and welcomed all present.  The first part
of the meeting would be an open format, where anyone could express any
thoughts. This portion of meeting would lead into the formal portion of the
meeting where no participation by the members would be allowed. No roll call is
conducted during the open forum but the districts are well represented.

Dan Derwart, KE4GWT, is the trustee of the 444.600+ repeater in Winter Park.
He plans to move the repeater 5 miles west and to 200 feet but the
uncoordinated upside-down repeater is causing a feedback loop.  The coordinator
explained that the Tampa repeater is not coordinated; therefore the FCC will
need to get involved.  Last contact with Riley Hollingsworth was about a year
ago.  President Kassis recommended that the owner submit request for change in
parameters to the coordinator.  An offer to supply a CTCSS board was made but
refused.  The Tampa repeater is carrier access and passes tone.  Director Mike
will help resolve the situation.

Ray Vaughan, KD4BBM is the trustee of the 146.760- MHz repeater in Coral
Gables.  An adjacent-channel repeater is in-service on 146.775- MHz only 8
miles away.  Ray has been in contact with Director Nilo, who said he would
resolve the situation but nothing has been done.  The coordinated 146.775
almost meets the adjacent-channel requirement but it is apparently
out-of-service and a new repeater is in-service in a new location with a
different call sign.  The repeater's deviation is estimated at 2 kHz in and 6.5
kHz out.  This is causing considerable splatter to the 146.760-.  The
coordinator reported that the 146.775- was coordinated in 1994 but is
conditional due to adjacent channel conflicts.  The 146.775- can be
de-coordinated but the FCC would need to get involved to remove it from the
service.  Its coordinated location is Miami but no enclosing streets are
indicated.  Current location is Hialeah at Palm (zero) Avenue & 35th Street.
Coordinates are 25 deg 51 min 13 sec by 80 deg 16 min 58 sec.  Ray will confirm
GPS coordinates of the operating 146.775-.  Last update of the 146.775- was 3
years ago.  The voice identifier is also over-deviating.

Steve Zingman, N4IRS inquired about a proposal or request to change to the 900
MHz band plan (away from the ARRL plan) in use by the SouthEast Repeater
Association (SERA).  Director Mike indicated he received correspondence
concerning this change.  The change is an increase of repeater split from 12 to
25 MHz.  This would alleviate interference from part 15 devices (cordless
phones, video rabbits) and allow commercial equipment to be more easily
adapted.  Weak signal users would move down 500 kHz.  Mike indicated he would
like to present the proposal during the business meeting, publish it and vote
on it at Orlando.

Mario Leiva, KR4DQ indicated his 1,000 foot repeater on the Dade/Broward border
is suffering interference from a television station remote on 450-451 MHz.  A
friend is coordinated on 442.525+ and would be willing to relinquish it.  There
is a paper co-channel is in Delray Beach (last update in 1994).  Mario's
existing 444.350+ would move further south (about 50 miles) and lose antenna
height.  Director Mark has no objection to this change and will send direction
to de-coordinate Delray Beach.

Vince Weil K4JC of Sebastian (Indian River county) indicated he had applied for
a 2-meter repeater that is paper in Vero Beach (145.410-).  This repeater has
been inactive for 3 years.  The trustee of the Vero Beach coordination
indicated to Vince that the pair is inactive and he has no immediate plans to activate.
The coordination has been updated recently.  The 60-day confiscation procedure
was described to Mr. Weil.  He was directed to place his repeater in service
and notify the director who will notify the coordinator.  [Coordinator's note:
QRZ reports Mr. Weil's address is Three Way, Tennessee, effective 11/29/03.]

President Kassis thanked all who attended and expressed their opinions.


The business meeting was called to order at 4:05 PM on September 13, 2003 by
President Ray Kassis, N4LEM.  The Secretary determined that a quorum of
qualified Directors were in attendance:

Directors in attendance were:
   District 1:
   District 2: Mark Filla, KS4VT
   District 3: Karen Power, KD4DJX
   District 4: Mike Fletcher, NI4M
   District 5: Ralph Betts, KC4SGG
   District 6: Dave Armbrust, AE4MR
   District 7: Ted Wirick, W4YJC
   District 8:

Staff Members in attendance were:

   President: Ray Kassis, N4LEM
   Vice President: Ira Bickham, K8HRR
   Secretary/Treasurer: Dana G. Rodakis, K4LK
   Database Manager: Dana G. Rodakis, K4LK


Report deferred.


The minutes of both February meetings (2/1/03, 2/8/03) have been posted on the
FRC web site.  Director Mike made a motion which was seconded by Director Mark
to waive reading the minutes and approve them as posted.  Motion passed

The newsletter was mailed during the 3rd week in August.  Of the 634 mailed, 60
came back.  The directors have picked through the returns to research


The FRC Secretary/Treasurer reported the following:

Opening balance, 2/5/03:  $7,712.99
Income:                   $1,919.98
Expenses:                 $1,153.94
Balance: 9/11/03:         $8,479.03

Paypal donation system was activated soon after the February meeting.  To date
$264 (after Paypal fees of 59 cents per transaction) has been donated.


The database currently contains 1,123 repeaters.  A list of repeaters to be
omitted from next report to the ARRL has been posted on the web site.  The
database manager has requested that the directors not update repeaters unless
the trustee has specifically requested it.  Simply updating because the
repeater is known active relieves the trustee of his responsibility.

Fifty-nine coordinations or transfers were completed to date.  Also, one
frequency change was approved.  Fourteen repeaters were decoordinated, fourteen
approved relocations.

_Unrelated to this page: records of crystals_
┌──
This record from Alexandria describes a geometry-optimized CuGeMoO6 structure. The functional is PBE+U.

a = 5.0475 Å, b = 5.0475 Å, c = 8.9400 Å
α = 90.00°, β = 90.00°, γ = 120.00°
Atoms (fractional coordinates):
Cu 0.0000 0.0000 0.0000
Cu 0.0000 0.0000 0.5000
Ge 0.3333 0.6667 0.2500
Ge 0.6667 0.3333 0.7500
Mo 0.3333 0.6667 0.7500
Mo 0.6667 0.3333 0.2500
O 0.0052 0.3584 0.1333
O 0.0052 0.6468 0.3667
O 0.3532 0.3584 0.3667
O 0.3532 0.9948 0.1333
O 0.3584 0.0052 0.6333
O 0.3584 0.3532 0.8667
O 0.6416 0.6468 0.1333
O 0.6416 0.9948 0.3667
O 0.6468 0.0052 0.8667
O 0.6468 0.6416 0.6333
└──

There are fifteen pending applications to be processed.


District 1: No report.

District 2: 442.600 and 44.625 were coordinated and active, 145.190 was
de-coordinated.  KD4CPG in Jupiter had requested a change of location for his
443.800+ repeater.  He was supposed to submit the request.  The coordinator did
not know if a request had been submitted and explained the order in which
incoming applications are processed.  For example, short-forms are processed
first.  444.125 WPB is active. For the 146.880 new hardware was received from
Motorola.  Database manager was not notified.  Coordinator reports no 443.800
in the district.  147.120 operational but on list of repeaters to be omitted.
146.985 is now coordinated to NERD group.  146.865 was issued to Archie
147.015 uncoordinated move in Miami.  Coordinator reports receiving nothing.

District 3: Eric Power reporting 146.61, 146.85 444.425 transferred.
Okeechobee repeater transferred.  442.250 Cocoa Beach de-coordinated.  146.715
down for repair.  147.105 down for repairs.

District 4: Quiet except for upside-down 440 repeater.  145.130 issue was
resolved but continue to receive emails requesting coordination, which is not
possible due to co-channel in Venice.  Some hams think that a coordination is
sold along with repeater hardware.  Bartow owner that requested coordination,
was erroneously issued a pair has installed a repeater on 146.550 out, 147.550
in.  To prevent errors in the future, it might be a good idea for the directors
to review the coordination before it's issued.  It was decided to add all
directors to the distribution list for applications and updates submitted
on-line.  The 147.105 in Punta Gorda has made changes to reduce coverage
overlap with Tampa.

District 5: Coy Hilton complained about the delay in transferring the
coordination on 145.13 and obtaining the 146.700.  Both were completed.

District 6: All quiet.

District 7: All quiet.

District 8: All quiet.


The Coordinator was directed to allocate two pairs in the sub-442 band for
state-wide emergency use.  A request for four frequencies has been submitted
to FADCA (Russ Oder, N4KOX).  President Ray asked Bill Sinbine, N4XEO to check
into it.  Nothing received to date.  FADCA has designated 145.090 MHz for
emergency data use.

The Database Manager has setup a server that allows the FRC staff to search and
print database records.  It has unlimited access. The Database Manager will
notify staff of any changes to the web IP address.

(Records of crystals, kept here for reference)
-- begin --
1.
## Cs2SnF4 (PBE)

Data for crystalline Cs2SnF4 at its relaxed geometry.

Cell lengths 8.2616, 8.2616, 8.2616 Å; angles 146.21, 146.21, 48.53 degrees
Closest atoms and distances in Å follow each position.
Positions (direct):
Cs: 0.1476 0.1476 0.0000  1 F 2.92
Cs: 0.8524 0.8524 0.0000  1 F 2.92
Sn: 0.5000 0.5000 0.0000  6 F 2.39-2.40
F: 0.0000 0.5000 0.5000  2 Sn 2.40
F: 0.3414 0.3414 0.0000  1 Sn 2.39
F: 0.5000 0.0000 0.5000  2 Sn 2.40
F: 0.6586 0.6586 0.0000  1 Sn 2.39

## Properties
SG: I4/mmm
Crystal system: tetragonal
Magnetization, μB/f.u.: 0.000
Total energy, eV per atom: -4.41
Calculated volume, Å³/cell: 174
Density, g cm⁻³: 4.4
Raw formation energy, eV per formula unit: -17.702

***

2.
## CsSn3F (PBE)

Data for crystalline CsSn3F at its relaxed geometry.

Cell lengths 6.3773, 6.3773, 6.3773 Å; angles 90.00, 90.00, 90.00 degrees
Closest atoms and distances in Å follow each position.
Positions (direct):
Cs: 0.0000 0.0000 0.0000  6 Sn 3.19
Sn: 0.0000 0.0000 0.5000  2 Cs 3.19
Sn: 0.0000 0.5000 0.0000  2 Cs 3.19
Sn: 0.5000 0.0000 0.0000  2 Cs 3.19
F: 0.5000 0.5000 0.5000  12 Sn 4.51

## Properties
SG: Pm-3m
Crystal system: cubic
Magnetization, μB/f.u.: 0.000
Total energy, eV per atom: -1.81
Calculated volume, Å³/cell: 259
Density, g cm⁻³: 3.3
Raw formation energy, eV per formula unit: 5.694

***

3.
## CsSnF6 (PBE)

Data for crystalline CsSnF6 at its relaxed geometry.

Cell lengths 6.6015, 6.6015, 6.6015 Å; angles 51.99, 51.99, 51.99 degrees
Closest atoms and distances in Å follow each position.
Positions (direct):
Cs: 0.0000 0.0000 0.0000  12 F 3.33
Sn: 0.5000 0.5000 0.5000  6 F 2.00
F: 0.1094 0.5904 0.5904  1 Sn 2.00
F: 0.4096 0.4096 0.8906  1 Sn 2.00
F: 0.4096 0.8906 0.4096  1 Sn 2.00
F: 0.5904 0.1094 0.5904  1 Sn 2.00
F: 0.5904 0.5904 0.1094  1 Sn 2.00
F: 0.8906 0.4096 0.4096  1 Sn 2.00

## Properties
SG: R-3m
Crystal system: trigonal
Magnetization, μB/f.u.: 1.062
Total energy, eV per atom: -4.25
Calculated volume, Å³/cell: 165
Density, g cm⁻³: 3.7
Raw formation energy, eV per formula unit: -17.903

***

4.
## Cs12Sn3F5 (PBE)

Data for crystalline Cs12Sn3F5 at its relaxed geometry.

Cell lengths 17.2095, 17.2095, 17.2095 Å; angles 109.47, 109.47, 109.47 degrees
Closest atoms and distances in Å follow each position.
Positions (direct):
Cs: 0.0145 0.1959 0.1139  2 F 2.89-3.16
Cs: 0.0145 0.3186 0.9007  2 F 2.89-3.16
Cs: 0.0820 0.6959 0.6814  2 F 2.89-3.16
Cs: 0.0820 0.8861 0.4007  2 F 2.89-3.16
Cs: 0.0993 0.6139 0.4180  2 F 2.89-3.16
Cs: 0.0993 0.9855 0.6814  2 F 2.89-3.16
Cs: 0.1139 0.0145 0.1959  2 F 2.89-3.16
Cs: 0.1139 0.5993 0.9180  2 F 2.89-3.16
Cs: 0.1814 0.1959 0.5820  2 F 2.89-3.16
Cs: 0.1814 0.4855 0.5993  2 F 2.89-3.16
Cs: 0.1959 0.1139 0.0145  2 F 2.89-3.16
Cs: 0.1959 0.5820 0.1814  2 F 2.89-3.16
Cs: 0.3041 0.3186 0.9180  2 F 2.89-3.16
Cs: 0.3041 0.4855 0.3861  2 F 2.89-3.16
Cs: 0.3186 0.9007 0.0145  2 F 2.89-3.16
Cs: 0.3186 0.9180 0.3041  2 F 2.89-3.16
Cs: 0.3861 0.3041 0.4855  2 F 2.89-3.16
-- stop --
(Here the text continues)

Two newsletters will be mailed to each coordinated trustee by first-class mail
per year.


A motion was made by Director Mike to designate repeater pairs 441.725+,
441.750+, 441.775+ statewide for transportable, temporary repeaters used only for
emergencies.  Motion was seconded and passed.  A motion was made to
designate the repeater pair 146.550 (output), 147.550 (input) statewide for
transportable, temporary repeaters used only for emergencies.  Motion was
seconded and passed.

A motion was made, seconded and approved to implement the following policy
immediately:  When a new repeater coordination is approved, a conditional,
non-renewable, six month coordination will be issued.  Once the District
Director and Coordinator are notified that the repeater is in-service, a full
two-year coordination will be granted.  A repeater will be considered
uncoordinated on the expiration date of the coordination, even if the repeater
is still in-service.   It is solely the repeater trustees’ responsibility to
renew the coordination before its expiration date if they wish to remain
coordinated.  If the two-year coordination expires it may still be renewed
during a six-month grace period after expiration date.  If the coordination
is not renewed during the six-month grace period, the pair will become
immediately available to be reissued at the end of the six-month grace period
without notice.  A coordination cannot be renewed after the six-month grace
period.  An application for new repeater coordination would need to be
submitted.  Effective immediately, no new or renewal repeater coordinations
will be granted without an expiration date.  Without exception, no coordination
will be renewed if the repeater is not in-service.  An exception or extension
can be granted by the Board of Directors in the event a repeater is under
repair or is relocating.  Expired repeater coordinations will be listed on the
Council web site, http://florida-repeaters.org/.  A letter will be mailed to all
trustees that have not updated their coordination in the last two years stating
that their coordination has expired and will be revoked if an update is not
submitted.  If the letter is returned undeliverable, then the coordination will
be immediately revoked.  After 3/1/2006, the only notice a coordinated trustee
will receive is an entry in the list of expired coordinations on the Council web

A motion was made, seconded and approved to re-designate the Orlando HamCation
as the permanent meeting place for the annual business meeting.

The meeting was adjourned at 5:30 PM by President Ray Kassis.

Respectfully submitted
Dana G. Rodakis, K4LK